Job:
Type out the lines underneath up to the one that holds "43.2°,", that line included.
Excerpt:
********
(1)
# TbHg2Pd4
Theoretical powder diffraction line list, λ = 1.5418 Å (Cu Kα). Input: a crystal structure in Alexandria, relaxed with PBE.
Neutral-atom scattering factors, no anomalous dispersion.

Peak list (10 most intense, 10° ≤ 2θ ≤ 90°, in order of rising 2θ)
- 36.9°, I = 100
- 37.1°, I = 50
- 37.6°, I = 47
- 41.2°, I = 36
- 43.3°, I = 32
- 44.9°, I = 29
- 61.0°, I = 12
- 61.7°, I = 11
- 62.2°, I = 11
- 63.6°, I = 10

Atomic structure:
abc: 5.765 6.850 7.812
angles: 108.18 110.57 100.86
Element x y z (fractional)
Tb 0.000 0.000 0.000
Tb 0.233 0.727 0.594
Hg 0.383 0.855 0.295
Hg 0.455 0.427 0.160
Hg 0.595 0.548 0.871
Hg 0.824 0.279 0.460
Pd 0.098 0.578 0.877
Pd 0.159 0.135 0.728
Pd 0.313 0.286 0.442
Pd 0.516 0.006 0.015
Pd 0.655 0.133 0.723
Pd 0.725 0.704 0.582
Pd 0.884 0.866 0.301
Pd 0.950 0.427 0.162


(2)
# TbHgPd14
Theoretical powder diffraction line list, λ = 1.5418 Å (Cu Kα). Input: a crystal structure in Alexandria, relaxed with PBE.
Neutral-atom scattering factors, no anomalous dispersion.

Peak list (10 most intense, 10° ≤ 2θ ≤ 90°, in order of rising 2θ)
- 22.1°, I = 2
- 24.7°, I = 2
- 38.8°, I = 100
- 45.0°, I = 33
- 45.2°, I = 16
- 65.5°, I = 10
- 65.7°, I = 20
- 78.8°, I = 25
- 79.1°, I = 12
- 83.2°, I = 11

Atomic structure:
abc: 5.699 5.699 8.025
angles: 90.00 90.00 90.00
Element x y z (fractional)
Tb 0.000 0.000 0.000
Hg 0.500 0.500 0.000
Pd 0.000 0.000 0.500
Pd 0.000 0.500 0.000
Pd 0.000 0.500 0.500
Pd 0.250 0.250 0.258
Pd 0.250 0.250 0.742
Pd 0.250 0.750 0.258
Pd 0.250 0.750 0.742
Pd 0.500 0.000 0.000
Pd 0.500 0.000 0.500
Pd 0.500 0.500 0.500
Pd 0.750 0.250 0.258
Pd 0.750 0.250 0.742
Pd 0.750 0.750 0.258
Pd 0.750 0.750 0.742


(3)
# TbHg3Pd7
Theoretical powder diffraction line list, λ = 1.5418 Å (Cu Kα). Input: a crystal structure in Alexandria, relaxed with PBE.
Neutral-atom scattering factors, no anomalous dispersion.

Peak list (10 most intense, 10° ≤ 2θ ≤ 90°, in order of rising 2θ)
- 21.2°, I = 22
- 28.7°, I = 46
- 33.9°, I = 62
- 36.3°, I = 22
- 37.7°, I = 63
- 38.2°, I = 100
- 41.4°, I = 19
- 43.2°, I = 25
- 43.9°, I = 45
- 51.6°, I = 29

Atomic structure:
abc: 6.607 6.607 5.399
angles: 106.06 106.06 92.48
Element x y z (fractional)
Tb 0.000 0.000 0.000
Hg 0.283 0.717 0.500
Hg 0.500 0.500 0.000
Hg 0.717 0.283 0.500
Pd 0.000 0.000 0.500
Pd 0.081 0.563 0.819
Pd 0.288 0.288 0.459
Pd 0.437 0.919 0.181
Pd 0.563 0.081 0.819
Pd 0.712 0.712 0.541
Pd 0.919 0.437 0.181


(4)
# TbHg3Pd6
Theoretical powder diffraction line list, λ = 1.5418 Å (Cu Kα). Input: a crystal structure in Alexandria, relaxed with PBE.
Neutral-atom scattering factors, no anomalous dispersion.

Peak list (10 most intense, 10° ≤ 2θ ≤ 90°, in order of rising 2θ)
- 37.2°, I = 100
- 37.5°, I = 96
- 43.3°, I = 31
- 43.4°, I = 33
- 43.6°, I = 31
- 62.9°, I = 20
- 63.2°, I = 21
- 75.2°, I = 12
- 75.6°, I = 13
********
Solution:
(1)
# TbHg2Pd4
Theoretical powder diffraction line list, λ = 1.5418 Å (Cu Kα). Input: a crystal structure in Alexandria, relaxed with PBE.
Neutral-atom scattering factors, no anomalous dispersion.

Peak list (10 most intense, 10° ≤ 2θ ≤ 90°, in order of rising 2θ)
- 36.9°, I = 100
- 37.1°, I = 50
- 37.6°, I = 47
- 41.2°, I = 36
- 43.3°, I = 32
- 44.9°, I = 29
- 61.0°, I = 12
- 61.7°, I = 11
- 62.2°, I = 11
- 63.6°, I = 10

Atomic structure:
abc: 5.765 6.850 7.812
angles: 108.18 110.57 100.86
Element x y z (fractional)
Tb 0.000 0.000 0.000
Tb 0.233 0.727 0.594
Hg 0.383 0.855 0.295
Hg 0.455 0.427 0.160
Hg 0.595 0.548 0.871
Hg 0.824 0.279 0.460
Pd 0.098 0.578 0.877
Pd 0.159 0.135 0.728
Pd 0.313 0.286 0.442
Pd 0.516 0.006 0.015
Pd 0.655 0.133 0.723
Pd 0.725 0.704 0.582
Pd 0.884 0.866 0.301
Pd 0.950 0.427 0.162


(2)
# TbHgPd14
Theoretical powder diffraction line list, λ = 1.5418 Å (Cu Kα). Input: a crystal structure in Alexandria, relaxed with PBE.
Neutral-atom scattering factors, no anomalous dispersion.

Peak list (10 most intense, 10° ≤ 2θ ≤ 90°, in order of rising 2θ)
- 22.1°, I = 2
- 24.7°, I = 2
- 38.8°, I = 100
- 45.0°, I = 33
- 45.2°, I = 16
- 65.5°, I = 10
- 65.7°, I = 20
- 78.8°, I = 25
- 79.1°, I = 12
- 83.2°, I = 11

Atomic structure:
abc: 5.699 5.699 8.025
angles: 90.00 90.00 90.00
Element x y z (fractional)
Tb 0.000 0.000 0.000
Hg 0.500 0.500 0.000
Pd 0.000 0.000 0.500
Pd 0.000 0.500 0.000
Pd 0.000 0.500 0.500
Pd 0.250 0.250 0.258
Pd 0.250 0.250 0.742
Pd 0.250 0.750 0.258
Pd 0.250 0.750 0.742
Pd 0.500 0.000 0.000
Pd 0.500 0.000 0.500
Pd 0.500 0.500 0.500
Pd 0.750 0.250 0.258
Pd 0.750 0.250 0.742
Pd 0.750 0.750 0.258
Pd 0.750 0.750 0.742


(3)
# TbHg3Pd7
Theoretical powder diffraction line list, λ = 1.5418 Å (Cu Kα). Input: a crystal structure in Alexandria, relaxed with PBE.
Neutral-atom scattering factors, no anomalous dispersion.

Peak list (10 most intense, 10° ≤ 2θ ≤ 90°, in order of rising 2θ)
- 21.2°, I = 22
- 28.7°, I = 46
- 33.9°, I = 62
- 36.3°, I = 22
- 37.7°, I = 63
- 38.2°, I = 100
- 41.4°, I = 19
- 43.2°, I = 25